********
Below is crystalline Sm12ErTm6 at its relaxed geometry, with properties calculated at the PBE-GGA level.

Summary:
- energy of formation from the pure elements (kJ/mol of formula units) = 259.5
- energy relative to the lowest polymorph listed for this composition (meV per atom) = 0
- total magnetic moment (μB per formula unit) = 0.0

Lattice parameters (Å, degrees): 11.9981 11.9981 15.1664 90.00 90.00 120.00
Last column: nearest neighbours and their distance in Å.
Space group R-3 (No. 148, hexagonal axes)
Asymmetric unit:
Sm  0.0044  0.8291  0.1912  4 Sm 3.44-3.60, 4 Tm 3.50-3.69, 1 Er 3.57
Sm  0.0457  0.8494  0.4161  3 Tm 3.31-3.47, 6 Sm 3.32-3.70
Er  0.0000  0.0000  0.0000  6 Tm 3.46, 6 Sm 3.57
Tm  0.0151  0.4275  0.6863  7 Sm 3.31-3.69, 1 Er 3.46, 2 Tm 3.49

* * * * *

Entry from the Open Quantum Materials Database: a geometry-optimized KLiNiW structure (PBE).

Cell and atoms, written as POSCAR:
```
KLiNiW
1.0
7.5283 0.0000 0.0000
0.0000 7.5283 0.0000
0.0000 0.0000 7.5283
K Li Ni W
4 4 4 4
Direct
0.0000 0.0000 0.0000
0.0000 0.5000 0.5000
0.5000 0.0000 0.5000
0.5000 0.5000 0.0000
0.2500 0.2500 0.7500
0.2500 0.7500 0.2500
0.7500 0.2500 0.2500
0.7500 0.7500 0.7500
0.2500 0.2500 0.2500
0.2500 0.7500 0.7500
0.7500 0.2500 0.7500
0.7500 0.7500 0.2500
0.0000 0.0000 0.5000
0.0000 0.5000 0.0000
0.5000 0.0000 0.0000
0.5000 0.5000 0.5000
```

Computed properties:
- calculated density (g cm⁻³) = 4.5
- SG = No. 216
- total DFT energy (no corrections) (eV/atom) = -3.718



Entry from the Open Quantum Materials Database: a geometry-optimized ScCoBiIr structure (PBE).

Cell and atoms, written as POSCAR:
```
ScCoBiIr
1.0
6.5438 0.0000 0.0000
0.0000 6.5438 0.0000
0.0000 0.0000 6.5438
Sc Co Bi Ir
4 4 4 4
Direct
0.0000 0.0000 0.0000
0.0000 0.5000 0.5000
0.5000 0.0000 0.5000
0.5000 0.5000 0.0000
0.0000 0.0000 0.5000
0.0000 0.5000 0.0000
0.5000 0.0000 0.0000
0.5000 0.5000 0.5000
0.2500 0.2500 0.2500
0.2500 0.7500 0.7500
0.7500 0.2500 0.7500
0.7500 0.7500 0.2500
0.2500 0.2500 0.7500
0.2500 0.7500 0.2500
0.7500 0.2500 0.2500
0.7500 0.7500 0.7500
```

Computed properties:
- calculated density (g cm⁻³) = 12.0
- SG = No. 216
- total DFT energy (no corrections) (eV/atom) = -6.519



Entry from the Open Quantum Materials Database: a geometry-optimized Nd2CdAsP structure (PBE).

Cell and atoms, written as POSCAR:
```
Nd2CdAsP
1.0
2.0766 -9.2121 0.0000
2.0766 9.2121 0.0000
0.0000 0.0000 6.4617
Nd Cd As P
4 2 2 2
Direct
0.0221 0.9779 0.5000
0.2017 0.7983 0.1814
0.7983 0.2017 0.6814
0.9779 0.0221 0.0000
0.3869 0.6131 0.3016
0.6131 0.3869 0.8016
0.4144 0.5856 0.7140
0.5856 0.4144 0.2140
0.1845 0.8155 0.6577
0.8155 0.1845 0.1577
```

Computed properties:
- calculated density (g cm⁻³) = 6.8
- SG = No. 36
- total DFT energy (no corrections) (eV/atom) = -5.001



Entry from the Open Quantum Materials Database: a geometry-optimized YTlCdSe3 structure (PBE).

Cell and atoms, written as POSCAR:
```
YTlCdSe3
1.0
8.3542 0.0000 0.0000
0.0000 4.2382 0.0000
-3.2227 0.0000 10.1246
Y Tl Cd Se
2 2 2 6
Direct
0.1886 0.2500 0.1337
0.8114 0.7500 0.8663
0.2405 0.7500 0.7293
0.7595 0.2500 0.2707
0.4256 0.7500 0.3863
0.5744 0.2500 0.6137
0.0440 0.2500 0.8573
0.2527 0.2500 0.4346
0.4281 0.7500 0.1395
0.5719 0.2500 0.8605
0.7473 0.7500 0.5654
0.9560 0.7500 0.1427
```

Computed properties:
- calculated density (g cm⁻³) = 6.0
- SG = No. 11
- total DFT energy (no corrections) (eV/atom) = -4.437



Computed total magnetic moment, in the same sequence as the records: 16.6, 6.8, 0.0, 0.0 Bohr magnetons per cell.

* * * * *

[1]
Compound: Th5Hg2Ru
Source: Alexandria
Functional: GGA-PBE
Structure: optimized geometry

The value obtained for the calculated volume is 553.9 Å³/cell. As for the space group: No. 63. Its crystal system is orthorhombic. Its formation energy is 148 meV per atom.

abc: 8.324 8.324 12.936
angles: 90.00 90.00 141.83
Fractional positions:
Th1 0.084 0.916 0.598
Th2 0.084 0.916 0.902
Th3 0.301 0.699 0.250
Th4 0.309 0.691 0.556
Th5 0.309 0.691 0.944
********

Search the contents earlier on for the word "space" and retype each line that has it.

The value obtained for the calculated volume is 553.9 Å³/cell. As for the space group: No. 63. Its crystal system is orthorhombic. Its formation energy is 148 meV per atom.